If possible, stop the flow of gas with a remote valve. Use water spray to cool exposed containers.
If fire is extinguished and flow of gas is continues, increase ventilation to prevent a build up of a
┌──
KLa2Cd2 | PBE | optimized geometry

Values from the calculation:
Distance to the lowest polymorph of the same formula   280 meV/atom
Total magnetization   0.00 μB/atom
Calculated density   4.72 g/cm3
E_form   0.193 eV/atom

Unit cell a=5.7635 b=5.7635 c=7.0348 alpha=65.82 beta=65.82 gamma=90.00
With the nearest neighbours (Å) after each atom.
Fractional positions:
La 0.6294 0.6294 0.7412  1 La 2.97, 4 Cd 3.20
K 0.0000 0.0000 0.0000  8 Cd 4.07, 10 La 4.25-4.34
Cd 0.7500 0.2500 0.5000  4 La 3.20
Cd 0.2500 0.7500 0.5000  4 La 3.20
La 0.3706 0.3706 0.2588  1 La 2.97, 4 Cd 3.20

Co4Cu | PBE | optimized geometry

Values from the calculation:
Distance to the lowest polymorph of the same formula   0 meV/atom
Total magnetization   1.33 μB/atom
Calculated density   8.94 g/cm3
E_form   0.083 eV/atom

Unit cell a=5.5869 b=5.5869 c=4.3332 alpha=49.86 beta=49.86 gamma=90.00
With the nearest neighbours (Å) after each atom.
Fractional positions:
Co 0.4071 0.8003 0.0000  9 Co 2.46-2.56, 3 Cu 2.50-2.53
Co 0.5929 0.1997 0.0000  9 Co 2.46-2.56, 3 Cu 2.50-2.53
Cu 0.0000 0.0000 0.0000  12 Co 2.50-2.53
Co 0.8003 0.5929 0.0000  9 Co 2.46-2.56, 3 Cu 2.50-2.53
Co 0.1997 0.4071 0.0000  9 Co 2.46-2.56, 3 Cu 2.50-2.53


This record from Alexandria describes a geometry-optimized CsSnP2Pt4 structure. The functional is PBE.

The total energy is -5.520 eV per atom. As for the size of the total moment: 0.000 Bohr magnetons per cell. The formation energy comes out at -540 meV per atom.

It has space group P4/mmm (No. 123), with a = 4.007 Å, b = 4.007 Å, c = 11.160 Å, α = 90.00°, β = 90.00° and γ = 90.00°. The asymmetric unit holds Cs at (0.000, 0.000, 0.000), Sn at (0.000, 0.000, 0.500), P at (0.500, 0.500, 0.208) and Pt at (0.000, 0.500, 0.320).


[1]
Density functional theory data (GGA-PBE) for CoCu2P after structural relaxation.

Cell lengths 4.021, 4.021, 4.021 Å; angles 60.00, 60.00, 60.00 degrees
Fractional positions:
Co1 0.500 0.500 0.500
Cu1 0.000 0.000 0.000
Cu2 0.750 0.750 0.750
P1 0.250 0.250 0.250

[2]
Density functional theory data (GGA-PBE) for Co2CuP after structural relaxation.

Cell lengths 6.354, 6.354, 5.089 Å; angles 51.37, 51.37, 90.00 degrees
Fractional positions:
Cu1 0.000 0.000 0.000
Co1 0.177 0.625 0.250
Co2 0.375 0.427 0.750
Co3 0.875 0.823 0.750
Co4 0.573 0.125 0.250
P1 0.500 0.500 0.000
P2 0.250 0.750 0.500
Cu2 0.750 0.250 0.500

Energy across the listed records, respectively: -5.113, -5.876 eV/atom.
Size of the total moment across the listed records, respectively: 0.187, 0.000 μB per atom.


PBE-GGA CuRe2Cl, relaxed; E_form (uncorrected) = 0.4462 eV per atom; D(E_F) = 4.1 states/eV/cell; space-group type = Cm (8); total magnetic moment = 0.000 μB per atom; distance to the lowest polymorph of the same formula = 162.4 meV/atom
1.0
6.246 0.000 0.000
0.000 2.915 0.000
-0.013 0.000 7.921
Cu Re Cl
2 4 2
Direct
0.000 0.000 0.000
0.500 0.500 0.000
0.099 0.500 0.554
0.335 0.000 0.753
0.599 0.000 0.554
0.835 0.500 0.753
0.069 0.000 0.294
0.569 0.500 0.294

***
└──
flammable / explosive atmosphere. Extinguish sources of ignition.
Be cautious of Boiling Liquid Evaporating Vapor Explosion, BLEVE, if flame is impinging on
surrounding containers. Direct a 500 GPM water stream onto containers above the liquid level
with remote monitors. Limit the number of personnel in proximity to the fire. Evacuate
surrounding area to at least 3000 feet in all directions.
Evacuate all personnel from affected area. Use appropriate protective equipment. Increase
ventilation to prevent build up of flammable/explosive atmosphere. Extinguish all sources of
ignition! If leak is in container or container valve, contact the appropriate emergency telephone
number listed in Section 1 or call Advanced Gas Tech. or CHEMTREC.
Earth bond and ground all lines and equipment associated with the product system. Electrical
equipment should be non-sparking and explosion proof. Use only in well-ventilated areas. Valve
protection caps must remain in place unless container is secured with valve outlet piped to use
point. Do not drag, slide, or roll cylinders. Use a pressure regulator when connecting to lower
pressure (250psig) piping or systems. Do not heat cylinder by any means to increase the discharge
rate of product from the cylinder. Use a check valve or trap in the discharge line to prevent
hazardous back flow into the cylinder.
Protect cylinders from physical damage. Store in cool, dry, well-ventilated area away from heavily
• Someone pasted data records at this point:
<<<
First-principles (PBE-GGA) data for Ca2Co after structural relaxation, as listed in the Alexandria database.

Properties
* ΔH_f (0 K): 0.367 eV/atom
* Fermi-level density of states: 6.099 states/eV/f.u.

Cell: 6.954 6.954 6.954 Å, 90.00 90.00 90.00°
Space group Pa-3 (No. 205)
Inequivalent atoms, fractional coordinates:
1 Ca 0.159 0.159 0.159 [8 per cell]
2 Co 0.000 0.000 0.500 [4 per cell]

---

First-principles (PBE-GGA) data for DyZn12 after structural relaxation, as listed in the Alexandria database.

Properties
* ΔH_f (0 K): -0.171 eV/atom
* Fermi-level density of states: 3.158 states/eV/f.u.

Cell: 8.808 8.808 5.286 Å, 90.00 90.00 90.00°
Space group I4/mmm (No. 139)
Inequivalent atoms, fractional coordinates:
1 Dy 0.000 0.000 0.000 [2 per cell]
2 Zn 0.000 0.217 0.500 [8 per cell]
3 Zn 0.000 0.353 0.000 [8 per cell]
4 Zn 0.250 0.250 0.250 [8 per cell]

---

First-principles (PBE-GGA) data for LiCeIn2I6 after structural relaxation, as listed in the Alexandria database.

Properties
* calculated total energy: -96.1 eV for the cell shown
* Fermi-level density of states: 8.147 states/eV/f.u.

Cell: 8.3859 8.3859 21.2945 Å, 90.00 90.00 120.00°
Space group R3 (No. 146, hexagonal axes)
Inequivalent atoms, fractional coordinates:
1 Li 0.0000 0.0000 0.0000 [3 per cell]
2 Ce 0.0000 0.0000 0.5051 [3 per cell]
3 In 0.0000 0.0000 0.2059 [3 per cell]
4 In 0.0000 0.0000 0.7099 [3 per cell]
5 I 0.0057 0.6016 0.2621 [9 per cell]
6 I 0.0123 0.4113 0.7585 [9 per cell]

---

First-principles (PBE-GGA) data for SmCd4Hg7 after structural relaxation, as listed in the Alexandria database.

Properties
* ΔH_f (0 K): -0.042 eV/atom
* Fermi-level density of states: 6.088 states/eV/f.u.

Cell: 12.497 6.218 9.477 Å, 90.00 121.22 90.00°
Space group C2/m (No. 12)
Inequivalent atoms, fractional coordinates:
1 Sm 0.000 0.000 0.000 [2 per cell]
2 Cd 0.001 0.500 0.329 [4 per cell]
3 Cd 0.247 0.500 0.326 [4 per cell]
4 Hg 0.000 0.500 0.000 [2 per cell]
5 Hg 0.004 0.000 0.342 [4 per cell]
6 Hg 0.238 0.500 0.655 [4 per cell]
7 Hg 0.248 0.500 0.001 [4 per cell]

---

First-principles (PBE-GGA) data for CaLaTm2Te4 after structural relaxation, as listed in the Alexandria database.

Properties
* calculated total energy: -39.6 eV for the cell shown
* Fermi-level density of states: 4.014 states/eV/f.u.

Cell: 7.666 4.388 7.686 Å, 90.00 109.02 90.00°
Space group P2/m (No. 10)
Inequivalent atoms, fractional coordinates:
1 Ca 0.000 0.000 0.000 [1 per cell]
2 La 0.000 0.500 0.500 [1 per cell]
3 Tm 0.500 0.000 0.500 [1 per cell]
4 Tm 0.500 0.500 0.000 [1 per cell]
5 Te 0.264 0.500 0.250 [2 per cell]
6 Te 0.267 0.000 0.761 [2 per cell]

---

First-principles (PBE-GGA) data for Dy4Co2I5 after structural relaxation, as listed in the Alexandria database.

Properties
* calculated total energy: -97.1 eV for the cell shown
* Fermi-level density of states: 4.293 states/eV/f.u.

Cell: 22.528 4.063 8.500 Å, 90.00 95.47 90.00°
Space group C2/m (No. 12)
Inequivalent atoms, fractional coordinates:
>>>
trafficked areas and emergency exists. Do not allow the temperature where cylinders are stored to
exceed 130℉ (54℃). Cylinders should be stored upright and firmly secured to prevent falling or
being knocked over. Full and empty cylinders should be segregated. Use a ‘first in – first out’
inventory system to prevent full cylinders from being stored for excessive periods of time.
Post “No Smoking” signs in storage or use areas.
For additional recommendations consult Compressed Gas Association pamphlet P-1.
Never carry a compressed gas cylinder or container of a gas in cryogenic liquid form in as
enclosed space such as a car trunk, van or station wagon. A leak can result in a fire, explosion,
asphyxiation or a toxic exposure.
Use local exhaust to prevent gas from accumulating. Use general ventilation to prevent build up of
flammable concentrations. Use a hood with ventilation when handing small quantities. If product
is handled routinely where the potential for leaks exists, all electrical equipment must be rated for